== Listing ==
=====
Starting from a DFT-relaxed cell (PBE+U, Alexandria), the PXRD pattern of Mn5Si4O14 was calculated for Cu Kα (λ = 1.5418 Å).

Principal peaks in the range 5 to 70 degrees two-theta, in order of rising 2θ:
| h k l | 2θ (°) | Rel. int. |
| --- | --- | --- |
| 0 1 0 | 13.51 | 100 |
| 1 1 1 | 18.21 | 29 |
| 1 2 1 | 24.16 | 61 |
| 0 0 2 | 24.43 | 25 |
| 1 2 2 | 27.76 | 65 |
| -1 1 2 | 29.13 | 40 |
| 0 1 -2 | 33.05 | 52 |
| -1 2 1 | 33.93 | 32 |

Crystal structure
```
data_Mn5Si4O14
_space_group_name_H-M_alt 'P -1'
_space_group_IT_number 2
_space_group_name_Hall '-P 1'
_cell_length_a 5.792
_cell_length_b 7.819
_cell_length_c 8.182
_cell_angle_alpha 63.32
_cell_angle_beta 84.99
_cell_angle_gamma 69.71
loop_
_atom_site_label
_atom_site_type_symbol
_atom_site_fract_x
_atom_site_fract_y
_atom_site_fract_z
Mn1 Mn 0.000 0.000 0.000
Mn2 Mn 0.097 0.566 0.793
Mn3 Mn 0.346 0.559 0.303
Si1 Si 0.246 0.232 0.627
Si2 Si 0.498 0.780 0.852
O1 O 0.011 0.198 0.752
O2 O 0.162 0.336 0.408
O3 O 0.211 0.338 0.061
O4 O 0.317 0.805 0.016
O5 O 0.336 0.402 0.643
O6 O 0.399 0.660 0.771
O7 O 0.472 0.013 0.696
```

=====

[1]
The following is a calculated PXRD pattern of ZnCdRh. It was derived from the PBE geometry in Alexandria, using CuKα.
Peak positions follow from Bragg's law for the DFT cell and can differ from measured ones.

Largest 10 diffraction maxima, by intensity, 2θ = 10–90°:
2θ = 38.48°, I = 100
2θ = 41.58°, I = 78
2θ = 57.94°, I = 29
2θ = 73.81°, I = 28
2θ = 67.46°, I = 13
2θ = 75.88°, I = 12
2θ = 82.45°, I = 7
2θ = 77.56°, I = 7
2θ = 23.65°, I = 7
2θ = 62.14°, I = 2

Structure:
Lattice parameters (Å, degrees): 4.3437 4.3437 2.9876 90.00 90.00 120.00
Space group P3m1 (No. 156)
Symmetry-distinct sites (fractional):
Zn 0.0000 0.0000 0.0000
Cd 0.3333 0.6667 0.3282
Rh 0.6667 0.3333 0.7781



[2]
The following is a calculated PXRD pattern of Cd3Ru4. It was derived from the PBE geometry in Alexandria, using CuKα.
Peak positions follow from Bragg's law for the DFT cell and can differ from measured ones.

Largest 10 diffraction maxima, by intensity, 2θ = 10–90°:
2θ = 38.45°, I = 100
2θ = 44.86°, I = 36
2θ = 78.42°, I = 24
2θ = 64.93°, I = 14
2θ = 65.32°, I = 11
2θ = 44.36°, I = 11
2θ = 64.27°, I = 7
2θ = 82.38°, I = 7
2θ = 31.29°, I = 6
2θ = 55.71°, I = 4

Structure:
Lattice parameters (Å, degrees): 2.8571 2.8571 28.5890 90.00 90.00 90.00
Space group I4/mmm (No. 139)
Symmetry-distinct sites (fractional):
Cd 0.0000 0.0000 0.0000
Cd 0.0000 0.0000 0.2944
Ru 0.0000 0.0000 0.1314
Ru 0.0000 0.0000 0.4243

=====

(1)
For KCrS2O8, a crystal structure in Alexandria, relaxed with PBE+U gives the calculated powder diffraction line list in this record (copper Kα).
No peak broadening, texture or thermal motion is included.

Main lines, sorted by position (2θ = 5–70°):
- 2θ = 10.7°, d = 8.264 Å, intensity 56, (0 0 2)
- 2θ = 21.1°, d = 4.206 Å, intensity 14, (1 0 0)
- 2θ = 23.7°, d = 3.748 Å, intensity 100, (1 0 2)
- 2θ = 30.3°, d = 2.947 Å, intensity 86, (1 0 4)
- 2θ = 37.0°, d = 2.428 Å, intensity 36, (1 1 0)
- 2θ = 40.6°, d = 2.222 Å, intensity 13, (1 1 3)
- 2θ = 48.6°, d = 1.874 Å, intensity 22, (2 0 4)
- 2θ = 49.1°, d = 1.854 Å, intensity 17, (0 1 8)
- 2θ = 62.6°, d = 1.484 Å, intensity 16, (2 1 4)
- 2θ = 66.7°, d = 1.402 Å, intensity 14, (3 0 0)

Structural model:
abc: 4.8562 4.8562 16.5283
angles: 90.00 90.00 120.00
Space group P-3c1 (No. 165)
Asymmetric unit:
K1 0.0000 0.0000 0.2500 (multiplicity 2)
Cr1 0.0000 0.0000 0.0000 (multiplicity 2)
S1 0.3333 0.6667 0.3964 (multiplicity 4)
O1 0.0653 0.3573 0.4267 (multiplicity 12)
O2 0.3333 0.6667 0.3081 (multiplicity 4)

---

(2)
For Mn5Si2O10, a crystal structure in Alexandria, relaxed with PBE+U gives the calculated powder diffraction line list in this record (copper Kα).
No peak broadening, texture or thermal motion is included.

Main lines, sorted by position (2θ = 5–70°):
- 2θ = 24.6°, d = 3.616 Å, intensity 93, (1 1 1)
- 2θ = 28.8°, d = 3.097 Å, intensity 86, (2 1 -1)
=====

== Work order ==
Could you retype the lines earlier on up to the one that holds "64.27°,", that line included?

== Result ==
Starting from a DFT-relaxed cell (PBE+U, Alexandria), the PXRD pattern of Mn5Si4O14 was calculated for Cu Kα (λ = 1.5418 Å).

Principal peaks in the range 5 to 70 degrees two-theta, in order of rising 2θ:
| h k l | 2θ (°) | Rel. int. |
| --- | --- | --- |
| 0 1 0 | 13.51 | 100 |
| 1 1 1 | 18.21 | 29 |
| 1 2 1 | 24.16 | 61 |
| 0 0 2 | 24.43 | 25 |
| 1 2 2 | 27.76 | 65 |
| -1 1 2 | 29.13 | 40 |
| 0 1 -2 | 33.05 | 52 |
| -1 2 1 | 33.93 | 32 |

Crystal structure
```
data_Mn5Si4O14
_space_group_name_H-M_alt 'P -1'
_space_group_IT_number 2
_space_group_name_Hall '-P 1'
_cell_length_a 5.792
_cell_length_b 7.819
_cell_length_c 8.182
_cell_angle_alpha 63.32
_cell_angle_beta 84.99
_cell_angle_gamma 69.71
loop_
_atom_site_label
_atom_site_type_symbol
_atom_site_fract_x
_atom_site_fract_y
_atom_site_fract_z
Mn1 Mn 0.000 0.000 0.000
Mn2 Mn 0.097 0.566 0.793
Mn3 Mn 0.346 0.559 0.303
Si1 Si 0.246 0.232 0.627
Si2 Si 0.498 0.780 0.852
O1 O 0.011 0.198 0.752
O2 O 0.162 0.336 0.408
O3 O 0.211 0.338 0.061
O4 O 0.317 0.805 0.016
O5 O 0.336 0.402 0.643
O6 O 0.399 0.660 0.771
O7 O 0.472 0.013 0.696
```

=====

[1]
The following is a calculated PXRD pattern of ZnCdRh. It was derived from the PBE geometry in Alexandria, using CuKα.
Peak positions follow from Bragg's law for the DFT cell and can differ from measured ones.

Largest 10 diffraction maxima, by intensity, 2θ = 10–90°:
2θ = 38.48°, I = 100
2θ = 41.58°, I = 78
2θ = 57.94°, I = 29
2θ = 73.81°, I = 28
2θ = 67.46°, I = 13
2θ = 75.88°, I = 12
2θ = 82.45°, I = 7
2θ = 77.56°, I = 7
2θ = 23.65°, I = 7
2θ = 62.14°, I = 2

Structure:
Lattice parameters (Å, degrees): 4.3437 4.3437 2.9876 90.00 90.00 120.00
Space group P3m1 (No. 156)
Symmetry-distinct sites (fractional):
Zn 0.0000 0.0000 0.0000
Cd 0.3333 0.6667 0.3282
Rh 0.6667 0.3333 0.7781



[2]
The following is a calculated PXRD pattern of Cd3Ru4. It was derived from the PBE geometry in Alexandria, using CuKα.
Peak positions follow from Bragg's law for the DFT cell and can differ from measured ones.

Largest 10 diffraction maxima, by intensity, 2θ = 10–90°:
2θ = 38.45°, I = 100
2θ = 44.86°, I = 36
2θ = 78.42°, I = 24
2θ = 64.93°, I = 14
2θ = 65.32°, I = 11
2θ = 44.36°, I = 11
2θ = 64.27°, I = 7